Input.
- - -
Density functional theory data (the ωB97M-V functional and the def2-TZVPD basis) for the molecule C23H23N3O4S.

Each line ends with the Löwdin charge.
CARTESIAN COORDINATES (ANGSTROEM)
C -0.156090 -0.175867 3.248495  0.002
C -0.434529 -0.516659 1.822785  -0.230
C 0.457516 -0.535004 0.807701  -0.048
C 1.880588 -0.169295 1.009550  -0.402
O 2.454700 -0.311156 2.073657  0.067
N 2.480235 0.367140 -0.097368  0.137
C 3.802649 0.789533 -0.262420  -0.218
C 4.800594 0.561812 0.679851  -0.012
C 6.088490 1.001780 0.433501  -0.080
C 6.399498 1.666497 -0.740205  -0.101
C 5.407381 1.892043 -1.680049  -0.092
C 4.117877 1.457378 -1.445229  -0.035
C 0.016839 -1.126126 -0.522275  -0.135
C 0.233930 -2.612324 -0.479343  -0.233
C 1.035951 -3.426773 -1.222934  -0.004
C 0.838039 -4.736793 -0.722159  -0.054
C -0.066783 -4.617230 0.284603  -0.107
O -0.438960 -3.335996 0.440409  0.061
C -1.454580 -0.832068 -0.762408  -0.191
C -1.850218 -0.739384 -2.095790  -0.215
N -2.120229 -0.662307 -3.212218  0.183
C -2.281816 -0.738595 0.302608  -0.495
S -4.045917 -0.533534 0.267471  1.019
C -4.300784 0.804298 -0.947321  -0.321
C -3.678542 2.093743 -0.454988  -0.555
O -4.309371 3.062402 -0.129190  0.122
O -2.352047 2.004086 -0.433797  -0.008
C -1.607035 3.161833 -0.005961  -0.375
C -1.622347 3.264977 1.513981  -0.015
C -0.197374 2.993493 -0.551494  -0.022
N -1.768091 -0.777320 1.567609  0.075
H -0.873068 0.554864 3.622849  0.083
H -0.245124 -1.080098 3.850378  0.101
H 0.854748 0.200062 3.365155  0.075
H 1.896073 0.555558 -0.899648  0.119
H 4.562478 0.047283 1.594936  0.099
H 6.856880 0.820235 1.170080  0.104
H 7.407407 2.006473 -0.923695  0.099
H 5.637575 2.408018 -2.600443  0.102
H 3.345492 1.634139 -2.182127  0.108
H 0.594221 -0.750600 -1.371747  0.144
H 1.683205 -3.133769 -2.024124  0.113
H 1.306261 -5.635083 -1.067720  0.101
H -0.511851 -5.338405 0.940644  0.120
H -3.879793 0.500151 -1.904224  0.060
H -5.380865 0.922056 -1.018228  0.093
H -2.093315 4.044393 -0.439974  0.149
H -1.153809 2.385710 1.950196  0.068
H -2.644785 3.347982 1.874644  0.084
H -1.070856 4.147612 1.824072  0.090
H 0.380039 3.894269 -0.366361  0.090
H 0.286706 2.155322 -0.055787  0.060
H -0.230885 2.805525 -1.621769  0.088
H -2.419777 -0.726969 2.336907  0.135

Atoms 1-2, force components in eV/Å:
C 0.1 0.0 0.1
C 0.5 0.2 -0.1

- LUMO energy: 0.0 eV
- SMILES: CC1=C(C(=O)Nc2ccccc2)[C@@H](c2ccco2)C(C#N)=C(SCC(=O)OC(C)C)N1
- 2S+1: 1
- Frontier orbital gap: 0.30900 Eh
- Relative energy (zero: lowest compared OMol25 entry of this formula, charge and spin): 26.6 kcal/mol

* * * * *

*i*
A structure of composition C36H46BaBrF4N4O4S3, computed with ωB97M-V/def2-TZVPD.

```
! RIJCOSX wB97M-V def2-TZVPD def2/J DEFGRID3
* xyz -1 1
Ba -0.170 0.723 0.570
C 1.086 -4.301 -2.001
C 1.680 -3.160 -1.167
N 2.245 -3.529 0.118
C 3.367 -4.441 0.038
C 4.526 -3.879 -0.777
C 1.273 -3.940 1.116
C 0.194 -2.894 1.412
N 0.736 -1.582 1.693
C 1.322 -1.317 2.861
C 2.121 -0.146 3.005
F 2.398 0.620 1.896
C 2.721 0.255 4.172
F 3.465 1.382 4.152
C 2.618 -0.469 5.344
C 1.885 -1.639 5.245
F 1.742 -2.413 6.344
C 1.278 -2.053 4.083
F 0.585 -3.223 4.146
H 0.521 -3.895 -2.842
H 1.862 -4.958 -2.400
H 0.402 -4.910 -1.407
H 2.462 -2.662 -1.745
H 0.922 -2.398 -0.991
H 3.710 -4.616 1.061
H 3.083 -5.431 -0.367
H 4.748 -2.864 -0.444
H 5.415 -4.497 -0.644
H 4.301 -3.850 -1.845
H 0.767 -4.887 0.847
H 1.825 -4.134 2.039
H -0.455 -2.797 0.535
H -0.444 -3.302 2.201
H 3.059 -0.138 6.269
O -0.969 3.324 -1.089
C -2.139 3.632 -1.743
C -2.112 4.548 -2.787
C -3.274 4.877 -3.466
C -4.471 4.292 -3.088
C -4.486 3.384 -2.038
C -3.334 3.019 -1.358
C -3.319 1.998 -0.205
O -2.363 1.080 -0.358
N -4.686 1.374 -0.049
N -4.906 0.051 -0.195
C -4.358 -0.698 -1.074
C -3.456 -0.357 -2.182
Br -1.850 -1.431 -2.177
C -3.759 0.444 -3.195
C -2.904 0.930 -4.287
C -3.449 1.106 -5.559
C -2.692 1.617 -6.600
C -1.372 1.984 -6.380
C -0.829 1.839 -5.111
C -1.582 1.319 -4.071
H -0.333 4.019 -1.291
H -1.165 4.993 -3.079
H -3.235 5.583 -4.285
H -5.388 4.541 -3.606
- - -
Assignment.
Your job: restate the lines further up from the one with "(ANGSTROEM)" to the one with "-3.319 1.998" exactly.
Result.
CARTESIAN COORDINATES (ANGSTROEM)
C -0.156090 -0.175867 3.248495  0.002
C -0.434529 -0.516659 1.822785  -0.230
C 0.457516 -0.535004 0.807701  -0.048
C 1.880588 -0.169295 1.009550  -0.402
O 2.454700 -0.311156 2.073657  0.067
N 2.480235 0.367140 -0.097368  0.137
C 3.802649 0.789533 -0.262420  -0.218
C 4.800594 0.561812 0.679851  -0.012
C 6.088490 1.001780 0.433501  -0.080
C 6.399498 1.666497 -0.740205  -0.101
C 5.407381 1.892043 -1.680049  -0.092
C 4.117877 1.457378 -1.445229  -0.035
C 0.016839 -1.126126 -0.522275  -0.135
C 0.233930 -2.612324 -0.479343  -0.233
C 1.035951 -3.426773 -1.222934  -0.004
C 0.838039 -4.736793 -0.722159  -0.054
C -0.066783 -4.617230 0.284603  -0.107
O -0.438960 -3.335996 0.440409  0.061
C -1.454580 -0.832068 -0.762408  -0.191
C -1.850218 -0.739384 -2.095790  -0.215
N -2.120229 -0.662307 -3.212218  0.183
C -2.281816 -0.738595 0.302608  -0.495
S -4.045917 -0.533534 0.267471  1.019
C -4.300784 0.804298 -0.947321  -0.321
C -3.678542 2.093743 -0.454988  -0.555
O -4.309371 3.062402 -0.129190  0.122
O -2.352047 2.004086 -0.433797  -0.008
C -1.607035 3.161833 -0.005961  -0.375
C -1.622347 3.264977 1.513981  -0.015
C -0.197374 2.993493 -0.551494  -0.022
N -1.768091 -0.777320 1.567609  0.075
H -0.873068 0.554864 3.622849  0.083
H -0.245124 -1.080098 3.850378  0.101
H 0.854748 0.200062 3.365155  0.075
H 1.896073 0.555558 -0.899648  0.119
H 4.562478 0.047283 1.594936  0.099
H 6.856880 0.820235 1.170080  0.104
H 7.407407 2.006473 -0.923695  0.099
H 5.637575 2.408018 -2.600443  0.102
H 3.345492 1.634139 -2.182127  0.108
H 0.594221 -0.750600 -1.371747  0.144
H 1.683205 -3.133769 -2.024124  0.113
H 1.306261 -5.635083 -1.067720  0.101
H -0.511851 -5.338405 0.940644  0.120
H -3.879793 0.500151 -1.904224  0.060
H -5.380865 0.922056 -1.018228  0.093
H -2.093315 4.044393 -0.439974  0.149
H -1.153809 2.385710 1.950196  0.068
H -2.644785 3.347982 1.874644  0.084
H -1.070856 4.147612 1.824072  0.090
H 0.380039 3.894269 -0.366361  0.090
H 0.286706 2.155322 -0.055787  0.060
H -0.230885 2.805525 -1.621769  0.088
H -2.419777 -0.726969 2.336907  0.135

Atoms 1-2, force components in eV/Å:
C 0.1 0.0 0.1
C 0.5 0.2 -0.1

- LUMO energy: 0.0 eV
- SMILES: CC1=C(C(=O)Nc2ccccc2)[C@@H](c2ccco2)C(C#N)=C(SCC(=O)OC(C)C)N1
- 2S+1: 1
- Frontier orbital gap: 0.30900 Eh
- Relative energy (zero: lowest compared OMol25 entry of this formula, charge and spin): 26.6 kcal/mol

* * * * *

*i*
A structure of composition C36H46BaBrF4N4O4S3, computed with ωB97M-V/def2-TZVPD.

```
! RIJCOSX wB97M-V def2-TZVPD def2/J DEFGRID3
* xyz -1 1
Ba -0.170 0.723 0.570
C 1.086 -4.301 -2.001
C 1.680 -3.160 -1.167
N 2.245 -3.529 0.118
C 3.367 -4.441 0.038
C 4.526 -3.879 -0.777
C 1.273 -3.940 1.116
C 0.194 -2.894 1.412
N 0.736 -1.582 1.693
C 1.322 -1.317 2.861
C 2.121 -0.146 3.005
F 2.398 0.620 1.896
C 2.721 0.255 4.172
F 3.465 1.382 4.152
C 2.618 -0.469 5.344
C 1.885 -1.639 5.245
F 1.742 -2.413 6.344
C 1.278 -2.053 4.083
F 0.585 -3.223 4.146
H 0.521 -3.895 -2.842
H 1.862 -4.958 -2.400
H 0.402 -4.910 -1.407
H 2.462 -2.662 -1.745
H 0.922 -2.398 -0.991
H 3.710 -4.616 1.061
H 3.083 -5.431 -0.367
H 4.748 -2.864 -0.444
H 5.415 -4.497 -0.644
H 4.301 -3.850 -1.845
H 0.767 -4.887 0.847
H 1.825 -4.134 2.039
H -0.455 -2.797 0.535
H -0.444 -3.302 2.201
H 3.059 -0.138 6.269
O -0.969 3.324 -1.089
C -2.139 3.632 -1.743
C -2.112 4.548 -2.787
C -3.274 4.877 -3.466
C -4.471 4.292 -3.088
C -4.486 3.384 -2.038
C -3.334 3.019 -1.358
C -3.319 1.998 -0.205